Vps – Very high Magento/Apache memory usage even without visitors (are we fooled by our hosting company?)


I am no server guy and we have issues with our speed so I come here asking for advise. We have a VPS with 2 cores and 2gb of RAM at a Magento specialized hosting company. Over the course of the last weeks our site speed has gotten worse, even though our store is new, has less than 1000 SKUs and not even 100 visitos a day.

At magespeedtest.com we only get 1.87 trans/sec @ 2.11 secs each with a mere 5 concurrent users. Our magento log files are clean, we have no huge database tables or anything like that.

When we take a look at our server real time stats, we see that the memory usage jumped up from about 34% to 71% and now 82% in just a few days in idle, with no visitors on the site. Our hosting company said that we do not need to worry about that as it`s maybe related to mysql which creates buffers (which are maybe not even actually being used) and what is important is CPU and swap – stats are ok here.

**Inserted here: crystal structures:**
Computed, not measured: crystalline Na4CrC6N6O10 at its relaxed geometry at the PBE+U level of DFT.

Geometry as POSCAR:
```
Na4CrC6N6O10
1.0
9.2584 0.0000 0.0000
0.0000 10.6560 0.0000
-8.1838 0.0000 9.5134
Na Cr C N O
8 2 12 12 20
Cartesian
-0.0171 1.7751 0.9232 Na
-4.1090 3.5529 5.6799 Na
-4.5350 6.7424 7.5698 Na
-0.4432 9.2416 2.8131 Na
1.5179 1.4144 6.7003 Na
5.6097 3.9136 1.9436 Na
5.1837 7.1031 3.8335 Na
1.0918 8.8809 8.5902 Na
4.6292 0.0000 0.0000 Cr
0.5373 5.3280 4.7567 Cr
-5.5826 0.2597 9.1032 C
-1.4907 5.0683 4.3466 C
0.9314 5.4554 2.7166 C
-3.1604 10.5285 7.4733 C
0.2774 7.3663 4.9743 C
4.3693 8.6177 0.2176 C
-3.2946 2.0383 9.2958 C
0.7972 3.2897 4.5391 C
4.2351 0.1274 2.0401 C
0.1433 5.2006 6.7968 C
2.5654 5.5876 5.1668 C
6.6573 10.3963 0.4101 C
-6.7193 0.4058 8.8473 N
-2.6274 4.9221 4.0906 N
1.1997 5.4584 1.5673 N
-2.8922 10.5255 6.3239 N
4.1978 7.4536 0.2516 N
0.1059 8.5303 5.0083 N
0.9688 2.1256 4.5051 N
-3.1231 3.2023 9.2617 N
3.9669 0.1305 3.1894 N
-0.1250 5.1975 7.9461 N
3.7021 5.7338 5.4228 N
7.7940 10.2501 0.6661 N
-2.0368 1.8207 2.9109 O
-6.1287 3.5073 7.6676 O
-2.1513 0.7242 3.4705 O
-6.2432 4.6038 8.2272 O
-3.2565 7.8356 5.8981 O
0.8354 8.1483 1.1414 O
-2.2318 2.0925 5.9784 O
1.8601 3.2355 1.2217 O
0.6794 0.7122 2.9314 O
-3.4125 4.6158 7.6881 O
4.4872 6.0402 1.8252 O
0.3953 9.9438 6.5819 O
-0.7854 7.4205 8.2916 O
3.3065 8.5635 3.5350 O
0.2393 2.5076 8.3720 O
4.3312 2.8203 3.6153 O
7.3178 6.0522 1.2862 O
3.2260 9.9318 6.0428 O
7.2033 7.1487 1.8458 O
3.1115 8.8353 6.6024 O
```

Values from the calculation:
**Energy of formation**: 457.1 meV/atom
**Size of the total moment**: 0.67 μB/atom
**Crystal system**: monoclinic

----------

No. 1
## LiMn4P6O21 (PBE+U)

Data for an optimized crystal structure of LiMn4P6O21.

Calculated values
E_form	-2.48	eV/atom
calculated total energy	-933.242	eV per cell
total magnetic moment	17.0	μB/f.u.
space group	P2_1/c, No. 14

Unit cell a=7.6694 b=9.6108 c=22.1840 alpha=90.00 beta=90.00 gamma=89.59
Fractional positions:
Li 0.9701 0.7761 0.6114
Li 0.5299 0.7239 0.1114
Li 0.4701 0.2761 0.8886
Li 0.0299 0.2239 0.3886
Mn 0.9408 0.7757 0.2556
Mn 0.5592 0.7243 0.7556
Mn 0.4408 0.2757 0.2444
Mn 0.0592 0.2243 0.7444
Mn 0.9602 0.7098 0.7601
Mn 0.9671 0.2697 0.5124
Mn 0.5329 0.2303 0.0124
Mn 0.5398 0.7902 0.2601
Mn 0.4602 0.2098 0.7399
Mn 0.4671 0.7697 0.9876
Mn 0.0329 0.7303 0.4876
Mn 0.0398 0.2902 0.2399
Mn 0.9412 0.2445 0.9947
Mn 0.5588 0.2555 0.4947
Mn 0.4412 0.7445 0.5053
Mn 0.0588 0.7555 0.0053
P 0.7622 0.9971 0.6850
P 0.7710 0.8342 0.8847
P 0.7571 0.1588 0.8545
P 0.7566 0.4456 0.6997
P 0.7384 0.9672 0.5465
P 0.7322 0.5315 0.5630
P 0.7678 0.9685 0.0630
P 0.7616 0.5328 0.0465
P 0.7434 0.0544 0.1997
P 0.7429 0.3412 0.3545
P 0.7290 0.6658 0.3847
P 0.7378 0.5029 0.1850
P 0.2622 0.4971 0.8150
P 0.2710 0.3342 0.6153
P 0.2571 0.6588 0.6455
P 0.2566 0.9456 0.8003
P 0.2384 0.4672 0.9535
P 0.2322 0.0315 0.9370
P 0.2678 0.4685 0.4370
P 0.2616 0.0328 0.4535
P 0.2434 0.5544 0.3003
P 0.2429 0.8412 0.1455
**The article goes on:**

They also said that the low benchmark scores are caused by bad extensions or template modifications on our side. We are not sure if we can trust that statement as we only have 4 plugins installed (all from aheadworks and amasty which are known to be one of the best magento extension developers). Our template modifications are purely html and css, no modifications to the php code. Our pagespeed is ranked with 93/100 in firebug and Magento is properly configured, so the problem really just gets obvious when there are a handful of users on the site at the same time.

Can anyone confirm our hosting`s statement about memory usage and where can I start looking for a solution?

Best Answer

You're going to want to check the server from the shell (terminal) and check out the specs/performance. One of the major things you'll want to check is the used/available RAM. Linux will by default, cache all available memory and use it as needed.

Linux Ate My Ram gives a good and fun breakdown about memory usage on Linux.

In addition to that, I would setup monitoring on the system.. (monit, munin, are a few, but there are plenty of others). You'll want to monitor the base system (CPU, Memory, HDD I/O) as well as the various services running on there (Apache/Nginx, MySQL, etc.) and from that gathered data look for trends.

Lastly, there's a nice site called Pingdom that helps diagnose slow-loading issues with sites that may be of use to see if there's any items on the actual pages causing the spikes.

Ultimately the monitoring and watching the system at a lower level should help to get you going in the right direction.
